Now echo the whole of the listing further below without additions.

Compound: ZnSi2Pb
Source: Alexandria via LeMat-Bulk
Functional: SCAN
Structure: PBEsol geometry

Computed properties:
formation energy (no corrections)	794	meV/atom
final energy	-26.538	eV per atom

Cell lengths 6.7913, 6.7913, 6.7913 Å; angles 90.00, 90.00, 90.00 degrees
Space group Fm-3m (No. 225)
Asymmetric unit:
Zn1 0.0000 0.0000 0.0000 x4
Si1 0.2500 0.2500 0.2500 x8
Pb1 0.0000 0.0000 0.5000 x4


First-principles (PBE with a Hubbard U) data for a geometry-optimized MnFeF4 structure, as listed in Alexandria.

Output
* raw total energy: -5.99 eV per atom
* total moment: 18.02 μB per cell

Unit cell a=4.903 b=5.489 c=5.846 alpha=90.00 beta=90.00 gamma=90.00
Atoms (fractional coordinates):
F  0.268  0.336  0.386
F  0.732  0.664  0.386
F  0.722  0.171  0.617
F  0.222  0.829  0.117
F  0.778  0.171  0.117
F  0.232  0.336  0.886
F  0.278  0.829  0.617
F  0.768  0.664  0.886
Fe  0.000  0.500  0.156
Fe  0.500  0.500  0.656
Mn  0.500  0.000  0.339
Mn  0.000  0.000  0.839


Record 1
DFT (PBE-GGA) results for TbHo2Sc after structural relaxation.

Computed properties:
Uncorrected energy (Ha/atom): -0.1833
D(E_F) (states/eV/atom): 1.559
M_tot (μB per cell): 0.00
Excess energy over the best structure of this formula in the dataset (meV per atom): 13.0
V (Å³ per atom): 29.478

a = 4.9162 Å, b = 4.8974 Å, c = 4.8974 Å
α = 90.00°, β = 90.00°, γ = 90.00°
With the nearest neighbours (Å) after each atom.
Sites, in units of the cell vectors:
Sc  0.5000  0.0000  0.0000  4 Tb 3.46, 8 Ho 3.47
Ho  0.0000  0.5000  0.0000  4 Ho 3.46, 4 Tb 3.47, 4 Sc 3.47
Ho  0.0000  0.0000  0.5000  4 Ho 3.46, 4 Tb 3.47, 4 Sc 3.47
Tb  0.5000  0.5000  0.5000  4 Sc 3.46, 8 Ho 3.47

***

Record 2
DFT (PBE-GGA) results for Cs4NaU3O12 after structural relaxation.

Computed properties:
Uncorrected energy (Ha/atom): -0.2753
D(E_F) (states/eV/atom): 0.676
M_tot (μB per cell): 0.70
V (Å³ per atom): 18.120
Uncorrected formation energy (eV per atom): -2.5854

a = 7.7793 Å, b = 7.7793 Å, c = 7.7793 Å
α = 109.47°, β = 109.47°, γ = 109.47°
With the nearest neighbours (Å) after each atom.
Sites, in units of the cell vectors:
O  0.7122  0.0000  0.7122  1 U 1.91
Na  0.0000  0.0000  0.0000  6 O 2.59
O  0.7500  0.2500  0.5000  2 U 2.25
O  0.2500  0.5000  0.7500  2 U 2.25
Cs  0.5000  0.0000  0.0000  12 O 3.18-3.19
O  0.2878  0.2878  0.0000  1 U 1.91
Cs  0.0000  0.0000  0.5000  12 O 3.18-3.19
O  0.7122  0.7122  0.0000  1 U 1.91
O  0.5000  0.7500  0.2500  2 U 2.25
O  0.7500  0.5000  0.2500  2 U 2.25
Cs  0.5000  0.5000  0.5000  12 O 3.18-3.19
U  0.5000  0.5000  0.0000  2 O 1.91
O  0.2878  0.0000  0.2878  1 U 1.91
Cs  0.0000  0.5000  0.0000  12 O 3.18-3.19
U  0.5000  0.0000  0.5000  2 O 1.91
O  0.5000  0.2500  0.7500  2 U 2.25
O  0.0000  0.2878  0.2878  1 U 1.91
O  0.2500  0.7500  0.5000  2 U 2.25
O  0.0000  0.7122  0.7122  1 U 1.91
U  0.0000  0.5000  0.5000  2 O 1.91

***

Record 3
DFT (PBE-GGA) results for DyTm2Pd8 after structural relaxation.

Computed properties:
Uncorrected energy (Ha/atom): -0.2133
D(E_F) (states/eV/atom): 0.452
M_tot (μB per cell): 0.00
V (Å³ per atom): 17.928

a = 4.1836 Å, b = 6.7256 Å, c = 7.6747 Å
α = 107.63°, β = 105.82°, γ = 90.00°
With the nearest neighbours (Å) after each atom.
Sites, in units of the cell vectors:
Pd  0.4070  0.5469  0.8141  8 Pd 2.84-3.02, 3 Tm 2.86-3.14, 1 Dy 2.92
Tm  0.7819  0.3339  0.5638  9 Pd 2.79-3.08
Pd  0.8574  0.8156  0.7148  3 Tm 2.88-3.08, 7 Pd 2.91-3.03, 2 Dy 2.95
Pd  0.1426  0.1844  0.2852  3 Tm 2.88-3.08, 7 Pd 2.91-3.03, 2 Dy 2.95
Tm  0.2181  0.6661  0.4362  9 Pd 2.79-3.08
Pd  0.0381  0.7174  0.0763  9 Pd 2.78-3.03, 1 Tm 2.79, 2 Dy 3.00
Pd  0.9619  0.2826  0.9237  9 Pd 2.78-3.03, 1 Tm 2.79, 2 Dy 3.00
Pd  0.5930  0.4531  0.1859  8 Pd 2.84-3.02, 3 Tm 2.86-3.14, 1 Dy 2.92
Dy  0.5000  0.0000  0.0000  12 Pd 2.88-3.00
Pd  0.6778  0.9080  0.3557  3 Tm 2.79-2.83, 1 Dy 2.88, 8 Pd 2.91-2.96
Pd  0.3222  0.0920  0.6443  3 Tm 2.79-2.83, 1 Dy 2.88, 8 Pd 2.91-2.96

***

Record 4
DFT (PBE-GGA) results for Ba3Pm after structural relaxation.

Compound: ZnSi2Pb
Source: Alexandria via LeMat-Bulk
Functional: SCAN
Structure: PBEsol geometry

Computed properties:
formation energy (no corrections)	794	meV/atom
final energy	-26.538	eV per atom

Cell lengths 6.7913, 6.7913, 6.7913 Å; angles 90.00, 90.00, 90.00 degrees
Space group Fm-3m (No. 225)
Asymmetric unit:
Zn1 0.0000 0.0000 0.0000 x4
Si1 0.2500 0.2500 0.2500 x8
Pb1 0.0000 0.0000 0.5000 x4


First-principles (PBE with a Hubbard U) data for a geometry-optimized MnFeF4 structure, as listed in Alexandria.

Output
* raw total energy: -5.99 eV per atom
* total moment: 18.02 μB per cell

Unit cell a=4.903 b=5.489 c=5.846 alpha=90.00 beta=90.00 gamma=90.00
Atoms (fractional coordinates):
F  0.268  0.336  0.386
F  0.732  0.664  0.386
F  0.722  0.171  0.617
F  0.222  0.829  0.117
F  0.778  0.171  0.117
F  0.232  0.336  0.886
F  0.278  0.829  0.617
F  0.768  0.664  0.886
Fe  0.000  0.500  0.156
Fe  0.500  0.500  0.656
Mn  0.500  0.000  0.339
Mn  0.000  0.000  0.839


Record 1
DFT (PBE-GGA) results for TbHo2Sc after structural relaxation.

Computed properties:
Uncorrected energy (Ha/atom): -0.1833
D(E_F) (states/eV/atom): 1.559
M_tot (μB per cell): 0.00
Excess energy over the best structure of this formula in the dataset (meV per atom): 13.0
V (Å³ per atom): 29.478

a = 4.9162 Å, b = 4.8974 Å, c = 4.8974 Å
α = 90.00°, β = 90.00°, γ = 90.00°
With the nearest neighbours (Å) after each atom.
Sites, in units of the cell vectors:
Sc  0.5000  0.0000  0.0000  4 Tb 3.46, 8 Ho 3.47
Ho  0.0000  0.5000  0.0000  4 Ho 3.46, 4 Tb 3.47, 4 Sc 3.47
Ho  0.0000  0.0000  0.5000  4 Ho 3.46, 4 Tb 3.47, 4 Sc 3.47
Tb  0.5000  0.5000  0.5000  4 Sc 3.46, 8 Ho 3.47

***

Record 2
DFT (PBE-GGA) results for Cs4NaU3O12 after structural relaxation.

Computed properties:
Uncorrected energy (Ha/atom): -0.2753
D(E_F) (states/eV/atom): 0.676
M_tot (μB per cell): 0.70
V (Å³ per atom): 18.120
Uncorrected formation energy (eV per atom): -2.5854

a = 7.7793 Å, b = 7.7793 Å, c = 7.7793 Å
α = 109.47°, β = 109.47°, γ = 109.47°
With the nearest neighbours (Å) after each atom.
Sites, in units of the cell vectors:
O  0.7122  0.0000  0.7122  1 U 1.91
Na  0.0000  0.0000  0.0000  6 O 2.59
O  0.7500  0.2500  0.5000  2 U 2.25
O  0.2500  0.5000  0.7500  2 U 2.25
Cs  0.5000  0.0000  0.0000  12 O 3.18-3.19
O  0.2878  0.2878  0.0000  1 U 1.91
Cs  0.0000  0.0000  0.5000  12 O 3.18-3.19
O  0.7122  0.7122  0.0000  1 U 1.91
O  0.5000  0.7500  0.2500  2 U 2.25
O  0.7500  0.5000  0.2500  2 U 2.25
Cs  0.5000  0.5000  0.5000  12 O 3.18-3.19
U  0.5000  0.5000  0.0000  2 O 1.91
O  0.2878  0.0000  0.2878  1 U 1.91
Cs  0.0000  0.5000  0.0000  12 O 3.18-3.19
U  0.5000  0.0000  0.5000  2 O 1.91
O  0.5000  0.2500  0.7500  2 U 2.25
O  0.0000  0.2878  0.2878  1 U 1.91
O  0.2500  0.7500  0.5000  2 U 2.25
O  0.0000  0.7122  0.7122  1 U 1.91
U  0.0000  0.5000  0.5000  2 O 1.91

***

Record 3
DFT (PBE-GGA) results for DyTm2Pd8 after structural relaxation.

Computed properties:
Uncorrected energy (Ha/atom): -0.2133
D(E_F) (states/eV/atom): 0.452
M_tot (μB per cell): 0.00
V (Å³ per atom): 17.928

a = 4.1836 Å, b = 6.7256 Å, c = 7.6747 Å
α = 107.63°, β = 105.82°, γ = 90.00°
With the nearest neighbours (Å) after each atom.
Sites, in units of the cell vectors:
Pd  0.4070  0.5469  0.8141  8 Pd 2.84-3.02, 3 Tm 2.86-3.14, 1 Dy 2.92
Tm  0.7819  0.3339  0.5638  9 Pd 2.79-3.08
Pd  0.8574  0.8156  0.7148  3 Tm 2.88-3.08, 7 Pd 2.91-3.03, 2 Dy 2.95
Pd  0.1426  0.1844  0.2852  3 Tm 2.88-3.08, 7 Pd 2.91-3.03, 2 Dy 2.95
Tm  0.2181  0.6661  0.4362  9 Pd 2.79-3.08
Pd  0.0381  0.7174  0.0763  9 Pd 2.78-3.03, 1 Tm 2.79, 2 Dy 3.00
Pd  0.9619  0.2826  0.9237  9 Pd 2.78-3.03, 1 Tm 2.79, 2 Dy 3.00
Pd  0.5930  0.4531  0.1859  8 Pd 2.84-3.02, 3 Tm 2.86-3.14, 1 Dy 2.92
Dy  0.5000  0.0000  0.0000  12 Pd 2.88-3.00
Pd  0.6778  0.9080  0.3557  3 Tm 2.79-2.83, 1 Dy 2.88, 8 Pd 2.91-2.96
Pd  0.3222  0.0920  0.6443  3 Tm 2.79-2.83, 1 Dy 2.88, 8 Pd 2.91-2.96

***

Record 4
DFT (PBE-GGA) results for Ba3Pm after structural relaxation.